Welcome to our membership application form. We are excited about your interest in our work and would be happy to welcome you in our global movement.

We offer membership for individuals and all types of civil society organizations free from any ties to the alcohol and tobacco industries. Our membership is diverse and thriving as we consist of child rights organizations, youth NGOs, community-based organizations, national NGOs and professional institutes. 

# Someone pasted materials data at this point
(1)
Na5Ce3Se8: computed powder diffractogram (a wavelength of 1.5418 Å), based on a structure optimized by DFT (PBE).
Kinematic intensities with the Lorentz-polarization factor, no thermal factor.

Peak list (12 most intense, 15 to 90 degrees two-theta, low angle first)
two_theta	I_rel
24.51	15.5
29.75	100.0
39.08	9.3
42.40	37.5
42.74	35.1
44.49	9.4
52.65	19.3
61.78	11.3
69.82	16.0
70.30	14.3
77.57	5.9
77.80	11.3

Atomic structure:
```
data_Na5Ce3Se8
_chemical_formula_sum 'Na5 Ce3 Se8'
_cell_length_a 8.4629
_cell_length_b 8.4629
_cell_length_c 8.4629
_cell_angle_alpha 60.50
_cell_angle_beta 60.50
_cell_angle_gamma 60.50
_symmetry_space_group_name_H-M 'P 1'
_symmetry_Int_Tables_number 1
loop_
_symmetry_equiv_pos_as_xyz
'x,y,z'
loop_
_atom_site_label
_atom_site_type_symbol
_atom_site_fract_x
_atom_site_fract_y
_atom_site_fract_z
_atom_site_occupancy
Na1 Na 0.0000 0.0000 0.0000 1
Na2 Na 0.0000 0.5000 0.5000 1
Na3 Na 0.5000 0.0000 0.5000 1
Na4 Na 0.5000 0.5000 0.0000 1
Na5 Na 0.5000 0.5000 0.5000 1
Ce1 Ce 0.0000 0.0000 0.5000 1
Ce2 Ce 0.0000 0.5000 0.0000 1
Ce3 Ce 0.5000 0.0000 0.0000 1
Se1 Se 0.2297 0.7500 0.7500 1
Se2 Se 0.2452 0.2452 0.2452 1
Se3 Se 0.2500 0.2500 0.7703 1
Se4 Se 0.2500 0.7703 0.2500 1
Se5 Se 0.7500 0.2297 0.7500 1
Se6 Se 0.7500 0.7500 0.2297 1
Se7 Se 0.7548 0.7548 0.7548 1
Se8 Se 0.7703 0.2500 0.2500 1
```


(2)
NaCe6Se8: computed powder diffractogram (a wavelength of 1.5418 Å), based on a structure optimized by DFT (PBE).
Kinematic intensities with the Lorentz-polarization factor, no thermal factor.

Peak list (12 most intense, 15 to 90 degrees two-theta, low angle first)
two_theta	I_rel
21.22	13.8
26.06	4.1
30.18	100.0
33.85	8.5
37.19	6.5
43.21	74.2
45.97	4.5
53.61	26.1
58.30	3.6
62.76	12.1
71.21	33.2
79.25	24.7

Atomic structure:
```
data_NaCe6Se8
_chemical_formula_sum 'Na1 Ce6 Se8'
_cell_length_a 8.3751
_cell_length_b 8.3751
_cell_length_c 8.3751
_cell_angle_alpha 60.00
_cell_angle_beta 60.00
_cell_angle_gamma 60.00
_symmetry_space_group_name_H-M 'P 1'
_symmetry_Int_Tables_number 1
loop_
_symmetry_equiv_pos_as_xyz
'x,y,z'
loop_
_atom_site_label
_atom_site_type_symbol
_atom_site_fract_x
_atom_site_fract_y
_atom_site_fract_z
_atom_site_occupancy
Na1 Na 0.0000 0.0000 0.0000 1
Ce1 Ce 0.0000 0.0000 0.5000 1
Ce2 Ce 0.0000 0.5000 0.0000 1
Ce3 Ce 0.0000 0.5000 0.5000 1
Ce4 Ce 0.5000 0.0000 0.0000 1
Ce5 Ce 0.5000 0.0000 0.5000 1
Ce6 Ce 0.5000 0.5000 0.0000 1
Se1 Se 0.2500 0.2500 0.2500 1
Se2 Se 0.2521 0.2521 0.7479 1
Se3 Se 0.2521 0.7479 0.2521 1
Se4 Se 0.2521 0.7479 0.7479 1
Se5 Se 0.7479 0.2521 0.2521 1
Se6 Se 0.7479 0.2521 0.7479 1
Se7 Se 0.7479 0.7479 0.2521 1
Se8 Se 0.7500 0.7500 0.7500 1
```

Our members are the heart and soul of our global social movement. Their values are the compass, their actions are the engine and their experience is the fuel that drives our work for development through alcohol prevention. Together we work on all levels and with the most comprehensive approach tackling alcohol as obstacle to development.

== Materials data, kept here for reference ==
'''
Calculated PXRD pattern
Compound: Y4ErAg5
Radiation: Cu Ka
Structure: a GGA-PBE-relaxed structure
Neutral-atom scattering factors, no anomalous dispersion.

Atomic structure:
```
Y4ErAg5
1.0
3.6070 0.0000 0.0000
0.0000 3.6070 0.0000
0.0000 0.0000 18.4774
Y Er Ag
4 1 5
Direct
0.0000 0.0000 0.1005
0.0000 0.0000 0.3015
0.0000 0.0000 0.6985
0.0000 0.0000 0.8995
0.0000 0.0000 0.5000
0.5000 0.5000 0.0000
0.5000 0.5000 0.2010
0.5000 0.5000 0.4031
0.5000 0.5000 0.5969
0.5000 0.5000 0.7990
```

Largest 6 diffraction maxima, by angle, 2θ from 15° to 90°:
2theta  Rel. int.
34.8  100
35.2  48
50.6  17
62.0  17
62.9  34
73.4  11

***

Calculated PXRD pattern
Compound: Er3Zn2Ag2
Radiation: Cu Ka
Structure: a GGA-PBE-relaxed structure
Neutral-atom scattering factors, no anomalous dispersion.

Atomic structure:
```
Er3Zn2Ag2
1.0
1.9990 -10.9646 0.0000
1.9990 10.9646 0.0000
0.0000 0.0000 3.5425
Er Zn Ag
3 2 2
Direct
0.0000 0.0000 0.0000
0.1585 0.8415 0.0000
0.8415 0.1585 0.0000
0.2821 0.7179 0.5000
0.7179 0.2821 0.5000
0.4193 0.5807 0.5000
0.5807 0.4193 0.5000
```

Largest 6 diffraction maxima, by angle, 2θ from 15° to 90°:
2theta  Rel. int.
34.1  100
35.3  80
36.4  76
58.7  36
64.8  27
65.6  26

***

Calculated PXRD pattern
Compound: Er6ZnAg3
Radiation: Cu Ka
Structure: a GGA-PBE-relaxed structure
Neutral-atom scattering factors, no anomalous dispersion.

Atomic structure:
```
Er6ZnAg3
1.0
8.8939 0.0000 0.0000
0.0000 5.0668 0.0000
-3.3632 0.0000 10.9893
Er Zn Ag
12 2 6
Direct
0.9997 0.2500 0.1090
0.0003 0.7500 0.8910
0.1655 0.2500 0.6955
0.2453 0.7500 0.5130
0.3593 0.7500 0.1238
0.3606 0.2500 0.3415
0.3886 0.7500 0.8465
0.6114 0.2500 0.1535
0.6394 0.7500 0.6585
0.6407 0.2500 0.8762
0.7547 0.2500 0.4870
0.8345 0.7500 0.3045
0.4499 0.2500 0.6168
0.5501 0.7500 0.3832
0.0340 0.2500 0.3814
0.1291 0.7500 0.2471
0.2728 0.2500 0.9718
0.7272 0.7500 0.0282
0.8709 0.2500 0.7529
0.9660 0.7500 0.6186
```

Largest 6 diffraction maxima, by angle, 2θ from 15° to 90°:
2theta  Rel. int.
30.1  22
33.2  33
34.3  100
35.1  78
35.4  65
49.4  23

***

Calculated PXRD pattern
Compound: ErZn3Ag2
Radiation: Cu Ka
Structure: a GGA-PBE-relaxed structure
Neutral-atom scattering factors, no anomalous dispersion.

Atomic structure:
```
ErZn3Ag2
1.0
4.4877 0.0000 0.0000
-2.2439 3.8865 0.0000
0.0000 0.0000 12.5578
Er Zn Ag
2 6 4
Direct
0.0000 0.0000 0.2500
0.0000 0.0000 0.7500
0.0000 0.0000 0.0000
0.0000 0.0000 0.5000
0.3333 0.6667 0.1371
0.3333 0.6667 0.3629
0.6667 0.3333 0.6371
0.6667 0.3333 0.8629
0.3333 0.6667 0.5831
0.3333 0.6667 0.9169
0.6667 0.3333 0.0831
0.6667 0.3333 0.4169
```

Largest 6 diffraction maxima, by angle, 2θ from 15° to 90°:
2theta  Rel. int.
27.0  31
36.8  91
40.2  100
42.9  20
55.6  27
70.8  26

***

Calculated PXRD pattern
Compound: Er3Zn6Ag5
Radiation: Cu Ka
Structure: a GGA-PBE-relaxed structure
Neutral-atom scattering factors, no anomalous dispersion.

Atomic structure:
```
Er3Zn6Ag5
1.0
-2.2088 4.6850 6.4905
2.2088 -4.6850 6.4905
2.2088 4.6850 -6.4905
Er Zn Ag
'''
== So much for the materials data ==

You are most welcome to join the movement, benefit from our expertise and knowledge and contribute to shaping our work.

We offer two membership types for organizations, full or associated; and individual membership. Please see here for the membership fee for each category.

  • Welcome to the membership application form! We are really glad you are interested in becoming part Movendi International and our global social movement for development through alcohol prevention. Below are a few questions and documents for you to upload to initiate the membership application process.
  • Name of the Applicant Organization

    Please provide the official name of your organization. Please spell out the acronym if you are using one and please tell us what your organization's name is in English, too, if the native language is different from English.
  • Support of Movendi International platform

    We are happy about your interest in our work and your commitment to joining our global movement. Our membership is value-driven and the Movendi International platform as enshrined in our constitution provides our value compass. Please indicate of you support our vision, mission, core values and principles.
  • Does your organization promote and foster Movendi International's vision, mission, core values and principles?
  • Does your organization promote a lifestyle free from alcohol and other drugs?
  • Is your organization free from any ties with and funding from the alcohol and tobacco industry?
  • Key Information of Applicant Organization

[Attached: records of crystals]
<<<
Computed XRD peak list of HoZnMo2O6 for copper Kα, from a DFT-relaxed cell (GGA+U, Alexandria).

Main lines, by intensity (5° ≤ 2θ ≤ 70°):
d_spacing  2theta  Rel. int.  hkl
2.800  31.97  1000  1 1 1
2.784  32.15  971  1 1 -3
2.713  33.01  449  2 0 -2
2.809  31.86  424  0 2 0
1.952  46.54  371  2 2 -2
1.616  56.99  263  2 0 2
1.998  45.40  249  0 0 4
1.577  58.53  243  3 1 -5

Structure:
```
HoZnMo2O6
1.0
5.427 0.000 0.000
0.000 5.618 0.000
-5.366 0.000 7.990
Ho Zn Mo O
2 2 4 12
direct
0.000 0.190 0.000
0.000 0.810 0.500
0.510 0.266 0.507
0.510 0.734 0.007
0.264 0.258 0.754
0.264 0.742 0.254
0.761 0.264 0.251
0.761 0.736 0.751
0.007 0.428 0.182
0.007 0.572 0.682
0.143 0.187 0.499
0.143 0.813 0.999
0.387 0.338 0.005
0.387 0.662 0.505
0.527 0.070 0.327
0.527 0.930 0.827
0.658 0.431 0.815
0.658 0.569 0.315
0.866 0.061 0.688
0.866 0.939 0.188
```

* * * * *

[1]
Ni3BF: computed X-ray diffraction stick pattern (CuKα), based on DFT lattice parameters and positions (GGA+U).
No peak broadening, texture or thermal motion is included.

```
Ni3BF
1.0
3.944 0.000 0.000
0.000 3.944 0.000
0.000 0.000 3.944
Ni B F
3 1 1
Direct
0.000 0.000 0.500
0.000 0.500 0.000
0.500 0.000 0.000
0.500 0.500 0.500
0.000 0.000 0.000
```

The 10 most intense peaks (10° ≤ 2θ ≤ 90°), by intensity:
2θ/deg, I/Imax
39.58, 100
46.02, 69
22.54, 58
67.12, 40
80.82, 33
51.83, 22
85.23, 13
32.09, 11
71.80, 9
57.21, 5

***

[2]
RbNiB2F8: computed X-ray diffraction stick pattern (CuKα), based on DFT lattice parameters and positions (GGA+U).
No peak broadening, texture or thermal motion is included.

```
RbNiB2F8
1.0
2.525 1.458 7.663
-2.525 1.458 7.663
0.000 -2.916 7.663
Rb Ni B F
1 1 2 8
Direct
0.000 0.000 0.000
0.500 0.500 0.500
0.244 0.244 0.244
0.756 0.756 0.756
0.046 0.513 0.767
0.233 0.954 0.487
0.306 0.306 0.306
0.487 0.233 0.954
0.513 0.767 0.046
0.694 0.694 0.694
0.767 0.046 0.513
0.954 0.487 0.233
```

The 10 most intense peaks (10° ≤ 2θ ≤ 90°), by intensity:
2θ/deg, I/Imax
25.59, 100
42.89, 44
37.48, 36
35.55, 26
21.74, 17
44.53, 15
60.68, 12
42.06, 12
58.06, 11
63.85, 11

* * * * *

Er2Tm6Fe: computed X-ray powder pattern (copper Kα), based on a crystal structure in Alexandria, relaxed with GGA-PBE.

Main lines, low angle first (2θ = 10–90°):
2θ 22.3, 3.983 Å, rel. 14; 2θ 28.3, 3.150 Å, rel. 34; 2θ 32.1, 2.792 Å, rel. 53; 2θ 32.2, 2.781 Å, rel. 31; 2θ 33.8, 2.655 Å, rel. 100; 2θ 34.5, 2.599 Å, rel. 54; 2θ 38.9, 2.317 Å, rel. 19; 2θ 39.4, 2.289 Å, rel. 32; 2θ 53.4, 1.715 Å, rel. 14; 2θ 55.3, 1.662 Å, rel. 14; 2θ 63.7, 1.461 Å, rel. 15; 2θ 64.7, 1.441 Å, rel. 24

Atomic structure:
```
Er2Tm6Fe
1.0
4.5271 -8.3765 0.0000
4.5271 8.3765 0.0000
0.0000 0.0000 3.4298
Er Tm Fe
2 6 1
direct
0.1798 0.8202 0.0000
0.8202 0.1798 0.0000
0.1685 0.4869 0.5000
0.2203 0.2203 0.0000
0.4869 0.1685 0.5000
0.5131 0.8315 0.5000
0.7797 0.7797 0.0000
0.8315 0.5131 0.5000
0.5000 0.5000 0.5000
```
>>>

  • Does your organization have officially approved statutes/ by-laws/ constitution?
  • Please upload your organization's official statutes, by-laws or constitution.
    Max. file size: 499 MB.
  • Is your organization officially registered with your government?
  • Please upload your organization's official government registration certificate.
    Max. file size: 499 MB.
  • Please share with us the social media channels you are using for your organization, such as Twitter, Facebook, Instagram, YouTube, Snapchat, LinkedIN, or others.
    Social media channelYour account 
  • Does your organization work with members, volunteers or is it exclusively staff-driven?
  • Please indicate the total number of members your organization has/ volunteers your organization works with/ staff in your organization, for the most recent calendar year.
  • Do you ask your members to make a pledge to live free from alcohol and other drugs?
  • What are the main activities your organization runs (advocacy, prevention, rehabilitation and treatment, community development, Human Rights promotion, countering the alcohol and/ or tobacco industries, etc.)?
  • Please share with us the addresses and information of the contact people you’d like us to communicate with. Thank you.
    NamePositionE-mailTelephoneMobile phoneSocial media 
  • Signature

  • My organization hereby applies for membership in Movendi International. We wish to apply for
  • Legal representative
  • 08/09/2024

  • Please share your logotype with us.
    Max. file size: 499 MB.
  • This field is for validation purposes and should be left unchanged.
  • Social media channels

  • Please select the newsletters you’d like to receive regularly.
  • We offer awesome opportunities for you to get involved in our global movement. Please select as many as you are interested in and will make sure to involve you in all the action.
  • This field is for validation purposes and should be left unchanged.